**Wanted**
Could you retype everything below exactly?

**Given**
+++
*w*
11
Lattice="4.369 -7.154 0.000 4.369 7.154 0.000 -1.875 0.000 5.051" Properties=species:S:1:pos:R:3 comment="Tm8InHg2 PBE optimized geometry" dos_ef_per_ev_cell=14.5 pbc="T T T"
Tm 0.699 1.670 3.081
Tm 4.369 3.959 0.000
Tm 0.699 -1.670 3.081
Tm 3.086 0.000 1.003
Tm 3.777 0.000 4.048
Tm 6.164 1.670 1.970
Tm 4.369 -3.959 0.000
Tm 6.164 -1.670 1.970
In 0.000 0.000 0.000
Hg 3.431 2.794 2.525
Hg 3.431 -2.794 2.525



*x*
11
Lattice="-2.476 4.165 7.348 2.476 -4.165 7.348 2.476 4.165 -7.348" Properties=species:S:1:pos:R:3 comment="Tm8InHg2 PBE optimized geometry" dos_ef_per_ev_cell=12.3 pbc="T T T"
Tm 2.476 2.356 -2.372
Tm 0.000 0.000 2.051
Tm 0.000 2.561 0.000
Tm 2.476 2.356 2.372
Tm 0.000 1.809 4.976
Tm 0.000 5.768 0.000
Tm 0.000 0.000 12.645
Tm 0.000 1.809 9.720
In 2.476 0.000 0.000
Hg 2.476 0.000 4.429
Hg 0.000 4.165 2.919



Referenced to the most stable arrangement, the calculated values in kJ/mol of atoms are *w* 3.1; *x* 0.0.



*w*
16
Lattice="7.074 0.000 0.000 0.000 7.074 0.000 0.000 0.000 7.074" Properties=species:S:1:pos:R:3 comment="TmZnInHg PBE optimized geometry" dos_ef_per_ev_cell=6.9 pbc="T T T"
Tm 0.000 0.000 0.000
Tm 0.000 3.537 3.537
Tm 3.537 0.000 3.537
Tm 3.537 3.537 0.000
Zn 1.769 1.769 1.769
Zn 1.769 5.306 5.306
Zn 5.306 1.769 5.306
Zn 5.306 5.306 1.769
In 0.000 0.000 3.537
In 0.000 3.537 0.000
In 3.537 0.000 0.000
In 3.537 3.537 3.537
Hg 1.769 1.769 5.306
Hg 1.769 5.306 1.769
Hg 5.306 1.769 1.769
Hg 5.306 5.306 5.306



*x*
4
Lattice="4.253 0.000 0.000 0.000 4.546 0.000 0.000 0.000 4.599" Properties=species:S:1:pos:R:3 comment="TmZnInHg PBE optimized geometry" dos_ef_per_ev_cell=2.2 pbc="T T T"
Tm 0.000 0.000 0.000
Zn 0.000 2.273 2.300
In 2.126 0.000 2.300
Hg 2.126 2.273 0.000



Referenced to the most stable arrangement, the calculated values in kJ/mol of atoms are *w* 1.9; *x* 0.0.



*w*
12
Lattice="2.990 0.000 0.000 0.000 17.550 0.000 0.000 0.000 5.350" Properties=species:S:1:pos:R:3 comment="UInHg PBE optimized geometry" dos_ef_per_ev_cell=16.6 pbc="T T T"
U 0.000 4.089 1.338
U 0.000 13.461 4.013
U 1.495 4.686 4.013
U 1.495 12.864 1.338
In 0.000 1.800 4.013
In 0.000 15.750 1.338
In 1.495 6.975 1.338
In 1.495 10.575 4.013
Hg 0.000 7.697 4.013
Hg 0.000 9.852 1.338
Hg 1.495 1.078 1.338
Hg 1.495 16.472 4.013



*x*
6
Lattice="3.151 0.000 0.000 0.000 3.151 0.000 0.000 0.000 14.515" Properties=species:S:1:pos:R:3 comment="UInHg PBE optimized geometry" dos_ef_per_ev_cell=8.9 pbc="T T T"
U 0.000 0.000 0.000
U 1.575 1.575 7.258
In 0.000 0.000 4.785
In 1.575 1.575 12.042
Hg 0.000 0.000 9.681
Hg 1.575 1.575 2.424



Referenced to the most stable arrangement, the calculated values in kJ/mol of atoms are *w* 0.0; *x* 1.7.



*w*
10
Lattice="7.190 0.000 0.000 0.000 7.190 0.000 0.000 0.000 3.796" Properties=species:S:1:pos:R:3 comment="V2In2Hg PBE optimized geometry" dos_ef_per_ev_cell=5.2 pbc="T T T"
V 0.755 2.840 0.000
V 2.840 6.435 0.000
V 4.349 0.755 0.000
V 6.435 4.349 0.000
In 1.337 4.932 1.898
In 2.258 1.337 1.898
In 4.932 5.853 1.898
In 5.853 2.258 1.898
Hg 0.000 0.000 0.000
Hg 3.595 3.595 0.000



*x*
10
Lattice="4.086 0.000 0.000 0.000 4.086 0.000 0.000 0.000 12.356" Properties=species:S:1:pos:R:3 comment="V2In2Hg PBE optimized geometry" dos_ef_per_ev_cell=7.7 pbc="T T T"
V 0.000 0.000 0.957
V 0.000 0.000 11.399
V 2.043 2.043 5.221
V 2.043 2.043 7.136
In 0.000 2.043 3.089
In 0.000 2.043 9.267
In 2.043 0.000 3.089
In 2.043 0.000 9.267
Hg 0.000 0.000 6.178
Hg 2.043 2.043 0.000



Referenced to the most stable arrangement, the calculated values in kJ/mol of atoms are *w* 0.0; *x* 22.0.



*w*
5
Lattice="5.365 0.000 0.000 0.000 5.365 0.000 0.000 0.000 5.365" Properties=species:S:1:pos:R:3 comment="VIn3Hg PBE optimized geometry" dos_ef_per_ev_cell=2.7 pbc="T T T"
V 0.000 0.000 0.000
In 0.000 0.000 2.682
In 0.000 2.682 0.000
In 2.682 0.000 0.000
Hg 2.682 2.682 2.682



*x*
5
+++

**Done**
*w*
11
Lattice="4.369 -7.154 0.000 4.369 7.154 0.000 -1.875 0.000 5.051" Properties=species:S:1:pos:R:3 comment="Tm8InHg2 PBE optimized geometry" dos_ef_per_ev_cell=14.5 pbc="T T T"
Tm 0.699 1.670 3.081
Tm 4.369 3.959 0.000
Tm 0.699 -1.670 3.081
Tm 3.086 0.000 1.003
Tm 3.777 0.000 4.048
Tm 6.164 1.670 1.970
Tm 4.369 -3.959 0.000
Tm 6.164 -1.670 1.970
In 0.000 0.000 0.000
Hg 3.431 2.794 2.525
Hg 3.431 -2.794 2.525



*x*
11
Lattice="-2.476 4.165 7.348 2.476 -4.165 7.348 2.476 4.165 -7.348" Properties=species:S:1:pos:R:3 comment="Tm8InHg2 PBE optimized geometry" dos_ef_per_ev_cell=12.3 pbc="T T T"
Tm 2.476 2.356 -2.372
Tm 0.000 0.000 2.051
Tm 0.000 2.561 0.000
Tm 2.476 2.356 2.372
Tm 0.000 1.809 4.976
Tm 0.000 5.768 0.000
Tm 0.000 0.000 12.645
Tm 0.000 1.809 9.720
In 2.476 0.000 0.000
Hg 2.476 0.000 4.429
Hg 0.000 4.165 2.919



Referenced to the most stable arrangement, the calculated values in kJ/mol of atoms are *w* 3.1; *x* 0.0.



*w*
16
Lattice="7.074 0.000 0.000 0.000 7.074 0.000 0.000 0.000 7.074" Properties=species:S:1:pos:R:3 comment="TmZnInHg PBE optimized geometry" dos_ef_per_ev_cell=6.9 pbc="T T T"
Tm 0.000 0.000 0.000
Tm 0.000 3.537 3.537
Tm 3.537 0.000 3.537
Tm 3.537 3.537 0.000
Zn 1.769 1.769 1.769
Zn 1.769 5.306 5.306
Zn 5.306 1.769 5.306
Zn 5.306 5.306 1.769
In 0.000 0.000 3.537
In 0.000 3.537 0.000
In 3.537 0.000 0.000
In 3.537 3.537 3.537
Hg 1.769 1.769 5.306
Hg 1.769 5.306 1.769
Hg 5.306 1.769 1.769
Hg 5.306 5.306 5.306



*x*
4
Lattice="4.253 0.000 0.000 0.000 4.546 0.000 0.000 0.000 4.599" Properties=species:S:1:pos:R:3 comment="TmZnInHg PBE optimized geometry" dos_ef_per_ev_cell=2.2 pbc="T T T"
Tm 0.000 0.000 0.000
Zn 0.000 2.273 2.300
In 2.126 0.000 2.300
Hg 2.126 2.273 0.000



Referenced to the most stable arrangement, the calculated values in kJ/mol of atoms are *w* 1.9; *x* 0.0.



*w*
12
Lattice="2.990 0.000 0.000 0.000 17.550 0.000 0.000 0.000 5.350" Properties=species:S:1:pos:R:3 comment="UInHg PBE optimized geometry" dos_ef_per_ev_cell=16.6 pbc="T T T"
U 0.000 4.089 1.338
U 0.000 13.461 4.013
U 1.495 4.686 4.013
U 1.495 12.864 1.338
In 0.000 1.800 4.013
In 0.000 15.750 1.338
In 1.495 6.975 1.338
In 1.495 10.575 4.013
Hg 0.000 7.697 4.013
Hg 0.000 9.852 1.338
Hg 1.495 1.078 1.338
Hg 1.495 16.472 4.013



*x*
6
Lattice="3.151 0.000 0.000 0.000 3.151 0.000 0.000 0.000 14.515" Properties=species:S:1:pos:R:3 comment="UInHg PBE optimized geometry" dos_ef_per_ev_cell=8.9 pbc="T T T"
U 0.000 0.000 0.000
U 1.575 1.575 7.258
In 0.000 0.000 4.785
In 1.575 1.575 12.042
Hg 0.000 0.000 9.681
Hg 1.575 1.575 2.424



Referenced to the most stable arrangement, the calculated values in kJ/mol of atoms are *w* 0.0; *x* 1.7.



*w*
10
Lattice="7.190 0.000 0.000 0.000 7.190 0.000 0.000 0.000 3.796" Properties=species:S:1:pos:R:3 comment="V2In2Hg PBE optimized geometry" dos_ef_per_ev_cell=5.2 pbc="T T T"
V 0.755 2.840 0.000
V 2.840 6.435 0.000
V 4.349 0.755 0.000
V 6.435 4.349 0.000
In 1.337 4.932 1.898
In 2.258 1.337 1.898
In 4.932 5.853 1.898
In 5.853 2.258 1.898
Hg 0.000 0.000 0.000
Hg 3.595 3.595 0.000



*x*
10
Lattice="4.086 0.000 0.000 0.000 4.086 0.000 0.000 0.000 12.356" Properties=species:S:1:pos:R:3 comment="V2In2Hg PBE optimized geometry" dos_ef_per_ev_cell=7.7 pbc="T T T"
V 0.000 0.000 0.957
V 0.000 0.000 11.399
V 2.043 2.043 5.221
V 2.043 2.043 7.136
In 0.000 2.043 3.089
In 0.000 2.043 9.267
In 2.043 0.000 3.089
In 2.043 0.000 9.267
Hg 0.000 0.000 6.178
Hg 2.043 2.043 0.000



Referenced to the most stable arrangement, the calculated values in kJ/mol of atoms are *w* 0.0; *x* 22.0.



*w*
5
Lattice="5.365 0.000 0.000 0.000 5.365 0.000 0.000 0.000 5.365" Properties=species:S:1:pos:R:3 comment="VIn3Hg PBE optimized geometry" dos_ef_per_ev_cell=2.7 pbc="T T T"
V 0.000 0.000 0.000
In 0.000 0.000 2.682
In 0.000 2.682 0.000
In 2.682 0.000 0.000
Hg 2.682 2.682 2.682



*x*
5